We're gonna look at a way that you can get from here to there with the people you want to share the gospel with. It's what helped me and I hope it will help you. Let's pray about it. Dear Jesus, we talked about being prepared. We've been doing that. We talked about being ready, we know that we're ready. What we want to do is have results. We want to bring lost persons to full life in you. To obey you to bring glory to the father, to acknowledge the work of the Spirit within us and to change people's lives forever. Thank you, we trust in you, and we're going to do it. We love you. Amen. 

Well, what we want to do today is look at something that I saw in the Bible, and that's been a very helpful part of my being a vocal witness. We have the verses from Ephesians, two verses one through 10. And look what it says there. You are dead in trespasses and sins. And then it goes on and says in verse three, that among whom we all lived in the passions of our flesh, so what the Bible is saying there is that we're all dead. We're born dead, and we lived in that way. And then it goes on to say that by nature, you see where it says we were by nature, the children of God's wrath, not much hope there. Paul goes on in this beautiful passage. And he goes on to say, but God who is rich in mercy made us alive in Christ. We could do nothing, what can dead people do? Nothing. But God made us alive in Christ. And then we can go on and read that passage. And finally, it comes to the point, created in Christ Jesus for all good works, which God prepared beforehand that we should walk in them. So that's the whole story of the gospel. That's like John 316 fleshed out in greater detail. 

# Someone pasted calculated crystals at this point
+++
(1)
Crystalline YZnSe2N at its relaxed geometry, computed with GGA-PBE.

Structure (extended XYZ):
```
5
Lattice="5.536 0.000 0.000 0.000 5.536 0.000 0.000 0.000 4.477" Properties=species:S:1:pos:R:3 pbc="T T T"
Y 0.000 0.000 0.000
Zn 2.768 2.768 2.239
Se 0.000 2.768 0.000
Se 2.768 0.000 0.000
N 0.000 0.000 2.239
```

Summary:
total magnetic moment = 2.076 μB per formula unit
uncorrected formation energy = 0.22 eV per atom
DOS(E_F) = 2.7 states/eV/f.u.
V = 137.19 Å³/cell

=====

(2)
Crystalline YZnSeN2 at its relaxed geometry, computed with GGA-PBE.

Structure (extended XYZ):
```
5
Lattice="4.045 0.000 0.000 0.000 4.045 0.000 0.000 0.000 4.945" Properties=species:S:1:pos:R:3 pbc="T T T"
Y 0.000 0.000 0.000
Zn 2.022 2.022 2.473
Se 2.022 2.022 0.000
N 0.000 2.022 2.473
N 2.022 0.000 2.473
```

Summary:
total magnetic moment = 2.069 μB per formula unit
uncorrected formation energy = 0.45 eV per atom
DOS(E_F) = 3.2 states/eV/f.u.
V = 80.89 Å³/cell

=====

(3)
Crystalline YZnSe2N at its relaxed geometry, computed with GGA-PBE.

Structure (extended XYZ):
```
5
Lattice="5.105 0.000 0.000 0.000 5.105 0.000 0.000 0.000 3.841" Properties=species:S:1:pos:R:3 pbc="T T T"
Y 0.000 0.000 0.000
Zn 2.553 2.553 1.920
Se 0.000 2.553 1.920
Se 2.553 0.000 1.920
N 2.553 2.553 0.000
```

Summary:
total magnetic moment = 1.824 μB per formula unit
uncorrected formation energy = -0.13 eV per atom
DOS(E_F) = 1.8 states/eV/f.u.
V = 100.10 Å³/cell

=====

(4)
Crystalline YZnSeN2 at its relaxed geometry, computed with GGA-PBE.

Structure (extended XYZ):
```
5
Lattice="4.221 0.000 0.000 0.000 4.221 0.000 0.000 0.000 6.057" Properties=species:S:1:pos:R:3 pbc="T T T"
Y 0.000 0.000 0.000
Zn 2.111 2.111 3.028
Se 0.000 0.000 3.028
N 0.000 2.111 0.000
N 2.111 0.000 0.000
```

Summary:
total magnetic moment = 0.040 μB per formula unit
uncorrected formation energy = 0.80 eV per atom
DOS(E_F) = 5.7 states/eV/f.u.
V = 107.93 Å³/cell

=====

(5)
Crystalline YZrSeN2 at its relaxed geometry, computed with GGA-PBE.

Structure (extended XYZ):
```
5
Lattice="4.204 0.000 0.000 0.000 4.204 0.000 0.000 0.000 5.295" Properties=species:S:1:pos:R:3 pbc="T T T"
Y 0.000 0.000 0.000
Zr 2.102 2.102 2.647
Se 2.102 2.102 0.000
N 0.000 2.102 2.647
N 2.102 0.000 2.647
```

Summary:
total magnetic moment = 0.000 μB per formula unit
uncorrected formation energy = -0.61 eV per atom
DOS(E_F) = 2.3 states/eV/f.u.
V = 93.56 Å³/cell

=====

(6)
Crystalline YZrSeN2 at its relaxed geometry, computed with GGA-PBE.

Structure (extended XYZ):
```
5
Lattice="4.260 0.000 0.000 0.000 4.260 0.000 0.000 0.000 5.406" Properties=species:S:1:pos:R:3 pbc="T T T"
Y 0.000 0.000 0.000
Zr 2.130 2.130 2.703
Se 0.000 0.000 2.703
N 0.000 2.130 0.000
N 2.130 0.000 0.000
```

Summary:
total magnetic moment = 0.598 μB per formula unit
uncorrected formation energy = 0.37 eV per atom
DOS(E_F) = 3.3 states/eV/f.u.
V = 98.11 Å³/cell

=====

(7)
Crystalline ZnSe3N at its relaxed geometry, computed with GGA-PBE.

Structure (extended XYZ):
+++

And so what I want to do now is show you how to get from here to there. You love people. Jesus has called you to be a vocal witness, you know, he wants him to be saved. You have relationships, we talked about that. We live with people all the time. We don't have to make relationships, we make new ones, but we have relationships with people who aren't saved. Now what we have to do is get from being with them, knowing them, sharing time with them, to bringing them across the line to faith in Christ. I said last time that one of the ones that we could use is being born again. That's one that Jesus used in John chapter three, when he said you know what you were born once from the activity of a man and a woman, your father and your mother, and you were born into this world. What did we just read? How are we born dead in trespasses and sins. He said, so you have to be born again. Here's the fascinating thing in the language Jesus taught, the word born again means born from above. And that's why he goes on to talk about the Holy Spirit. We were born dead once with our parents. Now we have to be born from above the second time so that we can accept the gospel. That's one of the ways you can approach it. You can explain it to people. 

There are all sorts of other ones that we can talk about. Here's another one. Here's Roman road, Romans. 3:23 says, All have sinned and come short of the glory of God. Romans 6:23 says the gift of God is eternal life through Jesus Christ. So we're dead in sin. We're given the new life. And then in Romans 12, verse one, Paul says, after you've become alive in Christ, give your whole life to serving him, living for Him. That's another that you can use. We'd like to call that the Roman road. 

Another that we could use is the bridge. The bridge, we would say, here's something like that. Here's where people are. And here's where God is. And in between is this a big valley of sin, of guilt. And what we do is lay the cross across there, and that becomes the bridge to God's side. A lot of people have used that. And that's very effective, because most people will acknowledge that they have sinned against God. 

~~~
Entry 1:
VASP calculation (GGA-PBE) on crystalline NaHfInF6 at its relaxed geometry.

Geometry as extended XYZ:
```
18
Lattice="5.969 0.000 0.000 -2.984 5.169 0.000 0.000 0.000 11.049" Properties=species:S:1:pos:R:3 pbc="T T T"
Na 0.000 3.446 2.762
Na 2.984 1.723 8.287
Hf 2.984 1.723 2.762
Hf 0.000 3.446 8.287
In 0.000 0.000 0.000
In 0.000 0.000 5.525
F 2.043 3.107 1.640
F 4.653 1.846 1.640
F -0.728 4.953 7.165
F -1.669 3.323 9.409
F 1.315 1.846 3.885
F 3.926 3.107 3.885
F 0.728 4.953 9.409
F 3.712 0.216 3.885
F -0.941 2.062 7.165
F 2.257 0.216 1.640
F 1.669 3.323 7.165
F 0.941 2.062 9.409
```

Computed properties:
Space group ... P-31c
DOS at the Fermi energy ... 0.00 states/eV per atom

=====

Entry 2:
VASP calculation (GGA-PBE) on crystalline NaHfIn2F8 at its relaxed geometry.

Geometry as extended XYZ:
```
12
Lattice="-1.200 0.906 -5.295 -0.795 -5.885 -1.204 -6.406 0.745 1.742" Properties=species:S:1:pos:R:3 pbc="T T T"
Na -3.203 0.372 0.871
Hf 0.000 0.000 0.000
In -5.934 -1.983 -1.955
In -2.467 -2.251 -2.802
F -2.159 -4.394 -1.228
F -7.603 -3.517 -3.089
F -2.575 -0.140 -4.233
F -6.242 0.160 -3.529
F -0.798 -0.717 -1.668
F -5.826 -4.094 -0.524
F -4.561 -2.964 -3.400
F -3.840 -1.270 -1.357
```

Computed properties:
Space group ... P-1
DOS at the Fermi energy ... 0.27 states/eV per atom

=====

Entry 3:
VASP calculation (GGA-PBE) on crystalline HfInOF2 at its relaxed geometry.

Geometry as extended XYZ:
```
5
Lattice="-0.044 3.125 3.237 -4.001 -1.508 1.401 1.928 -2.684 2.617" Properties=species:S:1:pos:R:3 pbc="T T T"
F -2.001 -0.754 0.701
F -0.022 1.562 1.619
Hf -1.059 -0.533 3.628
O 0.964 -1.342 1.308
In 0.000 0.000 0.000
```

Computed properties:
ΔE to the lowest computed polymorph ... 1420 meV per atom
Space group ... P4/mmm
DOS at the Fermi energy ... 0.71 states/eV per atom

=====

Taking the records one at a time from the top gives formation energy from raw total energies values of -3.1653, -2.8511, -0.9251 eV/atom.

~~~~~

No. 1
First-principles (meta-GGA SCAN) data for a crystal of In2HgRh relaxed with PBEsol, as listed in Alexandria.

## Properties
- Energy: -168.91 eV per formula unit
- ΔH_f (0 K): -0.20 eV per formula unit

Cell lengths 3.6846, 3.6846, 5.6845 Å; angles 90.00, 90.00, 90.00 degrees
Space group P4mm (No. 99)
Unique sites:
In: 0.0000 0.0000 0.0000 (multiplicity 1)
In: 0.5000 0.5000 0.2999 (multiplicity 1)
Hg: 0.5000 0.5000 0.7732 (multiplicity 1)
Rh: 0.0000 0.0000 0.4901 (multiplicity 1)

No. 2
First-principles (meta-GGA SCAN) data for a crystal of In2HgRh relaxed with PBEsol, as listed in Alexandria.

## Properties
- Energy: -169.54 eV per formula unit
- ΔH_f (0 K): -0.83 eV per formula unit

Cell lengths 3.0846, 3.0516, 8.5850 Å; angles 90.00, 90.47, 90.00 degrees
Space group P2/m (No. 10)
Unique sites:
In: 0.0051 0.0000 0.1999 (multiplicity 2)
Hg: 0.0000 0.5000 0.5000 (multiplicity 1)
Rh: 0.5000 0.5000 0.0000 (multiplicity 1)

No. 3
~~~

There's a couple more that we could talk about. What I would like to call the whole loaf. I rode on the plane from California to New Jersey once a long trip, three, four hours, whatever it was. Started talking to the man next to me. We started in the book of Genesis, about creation, and went on from there and how people fell into sin and the Old Testament. The New Testament was so fascinated you don't always have time for the whole loaf. But when you do, it's a wonderful thing. Finally end up with salvation in the book of Revelation. 

There's another that I like to call the parking ticket. And this is important for all of us. I want you to hear about this one. There was a man in New York City who was running to be a mayor and the government in New York City had been very corrupt. So he wanted to be mayor and he was running for it. And the reporters asked him, they said, What ticket are you running on? They meant, you know, is it gonna be Democratic, Republican, Independent, whatever it might have been? And he said, he is so corrupt. I could beat him on a parking ticket. And here's what he meant by that. It doesn't mean anything what I run on. I know that I can do it. I know the truth. And that's what I mean about the parking ticket. 

You know, I said use born again, use the bridge, use a Roman road. But here's a little line for you, homemade cookies are always the best. And so use an illustration that comes to you. There's nothing that says you have to use one that we talked about here. Just have one. Somebody said to Dwight L. Moody, he was so concerned about people being saved. In Chicago, he would walk up to them and stop them on the street and say, Brother, are you saved? And somebody said to him, I don't like the way you're doing it. He said, Tell me how you do it. The person said, Well, I Well, you know, I mean, if I would I would I do it. And Dwight L moody said I liked the way I'm doing it better than the way you're not doing it. And the same here. If you say Ren, what you've been sharing with us, not the way I would do it. Fine. 

What is your way? We can use illustrations from everything. Think of one of your own. How would you best explain what it means to cross the line to new life in Christ? What kind of illustration could you come up with, that is you, that you would use to bring somebody to new life in Christ. We have seen from God's word, they're dead in sin. They can't do anything themselves. God has saved them and God leads them into a life of service for him. 

And then I want to say one other thing before I show you another diagram, the diagram that I've used a lot. I call it crossing the line. And that is this. Who can play the piano. When you play a song on the piano and people can play all sorts of variations. They can change it as they go along, who can do that the best. The person who is just starting or the person has rehearsed over and over and over again, and then can add things or subtract things as they play. Or  another, maybe in your country, you don't have ice, but here in America, we have ice ponds, and we have ice shows. And so in those ice shows, they always have a clown, and he falls down and he stumbles. He has to be the best skater on the ice because he not only has to be good at it, but he has to make it look so natural and so simple. So he rehearses over and over again about how to fall and how to look funny when he falls that type of thing. What I'm saying is that when you know what the best that's when you can change it. That's when you're confident that's when you can add new stuff and take out old stuff. 

So when we're talking about getting from here to there, what I'm saying is you have to have a way to enter into the conversation and then be ready to go from here to there to say to that person here is what I mean. The one that I learned from Ephesians chapter two verses one through 10 is the one on your on your screen now that I call crossing the line. I want to say I've used this in the back of churches. I've used this in a car. I’ve used in restaurants. I've used this in people's homes. I've used it for older people, for younger people. I use it even when people say they are followers just to make sure they know where they are. But it's a very strong one for me. And here's the way I saw it that God showed it to me in Ephesians chapter two, verses one to 10. 

Here's God. And on this side of the line are people. And what the Bible says is that everybody who was born into the world is born on the wrong side of the fence. Born separate from God. That’s you, that’s your mother, that’s Billy Graham, that’s the pope, that’s a murderer in your town. That's the mayor, whoever it is, the Bible says we're all born dead in trespasses and sins on this side of the line. And that line that wall is so thick and so heavy. Nobody can make their way across it. You do a lot of good things, your kinds of people you give money to charity. You’re good to animals, you're faithful in your marriage, but there's no way that you can get across that line. Why? Because we're dead. Dead people can't do anything. So what happened is God came to our side of the line and that's what we call the virgin birth. Because Jesus came in a special way. This is Jesus. And because Jesus came in a special way, he was able to break that chain of sin that everybody has. 

• Materials data that have nothing to do with the entry:
-- begin --
The following is a DFT calculation (PBE-GGA) of a relaxed structure of LuTlPbS3.

Cell lengths 9.119, 9.119, 10.480 Å; angles 90.00, 90.00, 154.76 degrees
Positions (direct):
Lu (0.000, 0.000, 0.500)
S (0.969, 0.031, 0.750)
S (0.601, 0.399, 0.526)
Tl (0.311, 0.689, 0.250)
Tl (0.689, 0.311, 0.750)
Lu (0.000, 0.000, 0.000)
S (0.399, 0.601, 0.026)
S (0.031, 0.969, 0.250)
S (0.601, 0.399, 0.974)
Pb (0.366, 0.634, 0.750)
S (0.399, 0.601, 0.474)
Pb (0.634, 0.366, 0.250)

total energy	-0.359	Ry/atom
crystal system	orthorhombic


The following is a DFT calculation (PBE-GGA) of a relaxed structure of Na2PuBr6.

Cell lengths 6.890, 6.890, 12.929 Å; angles 90.00, 90.00, 90.00 degrees
Each line ends with the local moment (μB).
Positions (direct):
Br (0.195, 0.805, 0.156)  -0.07
Pu (0.500, 0.500, 0.500)  4.50
Na (0.500, 0.500, 0.834)  0.00
Br (0.695, 0.695, 0.656)  -0.07
Br (0.195, 0.805, 0.844)  -0.07
Br (0.805, 0.195, 0.844)  -0.07
Br (0.284, 0.284, 0.000)  -0.07
Pu (0.000, 0.000, 0.000)  4.49
Br (0.784, 0.216, 0.500)  -0.07
Br (0.716, 0.716, 0.000)  -0.07
Na (0.000, 0.000, 0.666)  0.00
Na (0.500, 0.500, 0.166)  0.00
Br (0.805, 0.195, 0.156)  -0.07
Br (0.305, 0.305, 0.656)  -0.07
Br (0.305, 0.305, 0.344)  -0.07
Na (0.000, 0.000, 0.334)  0.00
Br (0.216, 0.784, 0.500)  -0.07
Br (0.695, 0.695, 0.344)  -0.07

total energy	-0.324	Ry/atom
crystal system	tetragonal


The following is a DFT calculation (PBE-GGA) of a relaxed structure of ZrBe2Ir2.

Cell lengths 6.805, 6.805, 2.847 Å; angles 90.00, 90.00, 90.00 degrees
Positions (direct):
Be (0.117, 0.383, 0.000)
Ir (0.670, 0.830, 0.500)
Ir (0.830, 0.330, 0.500)
Zr (0.000, 0.000, 0.000)
Ir (0.170, 0.670, 0.500)
Be (0.883, 0.617, 0.000)
Zr (0.500, 0.500, 0.000)
Be (0.617, 0.117, 0.000)
Ir (0.330, 0.170, 0.500)
Be (0.383, 0.883, 0.000)

total energy	-0.543	Ry/atom
crystal system	tetragonal


The following is a DFT calculation (PBE-GGA) of a relaxed structure of TcW.

Cell lengths 2.801, 2.801, 4.544 Å; angles 90.00, 90.00, 120.00 degrees
Positions (direct):
W (0.333, 0.667, 0.250)
Tc (0.667, 0.333, 0.750)

relative energy among the computed polymorphs	0	meV per atom
crystal system	hexagonal
ΔH_f (0 K)	0.5	eV per formula unit


The following is a DFT calculation (PBE-GGA) of a relaxed structure of Cu2Ag3.

Cell lengths 7.056, 2.876, 7.707 Å; angles 90.00, 96.88, 90.00 degrees
Positions (direct):
Ag (0.828, 0.250, 0.525)
Cu (0.706, 0.750, 0.239)
Cu (0.294, 0.250, 0.761)
Ag (0.172, 0.750, 0.475)
Cu (0.458, 0.250, 0.363)
Cu (0.542, 0.750, 0.637)
Ag (0.985, 0.750, 0.833)
Ag (0.344, 0.750, 0.068)
Ag (0.015, 0.250, 0.167)
Ag (0.656, 0.250, 0.932)

relative energy among the computed polymorphs	41	meV per atom
crystal system	monoclinic
ΔH_f (0 K)	0.4	eV per formula unit


The following is a DFT calculation (PBE-GGA) of a relaxed structure of NdSmSc2Si2.

Cell lengths 8.457, 8.457, 8.457 Å; angles 150.72, 150.72, 41.89 degrees
Each line ends with the local moment (μB).
Positions (direct):
Sc (0.500, 0.000, 0.500)  0.22
-- stop --
• Here the entry continues:

Now, what God did was take the sin of people and put it on Jesus. Think of all the things that we've said and done, that we shouldn't have, the mean stuff and the untruthful stuff and the hurtful stuff and all the rest. And he takes all that sin from people and he puts it on Jesus. He says Jesus, you are guilty of that. That's your sin. The Bible says He took our sin to the cross and that's where the cross fits in. Jesus went to the cross, not because he was bad, but because we were. Jesus, the Bible says never sinned at all. But when he went to the cross, he was taking all the sin that had been placed on him. When Jesus was here he said, I am the door and then we can understand what he meant by that. He said there's there's no way through there except through me. You cannot cross that line on your own. It is only through Jesus. Jesus said I am the door. This is Jesus the door.

Now the key that opens that door is faith. The key that opens that door is faith. The stuff we do can open that door. The only way we can go through that door through Jesus is by faith. And you know what? Here's where we get nervous. Because we say maybe my faith isn't strong enough. I'm not even sure what faith is. I don't have the faith that somebody else does. Here's the way I want to explain faith. Faith is ABC.

Faith. A means admit. Will you admit that you were born dead in trespasses and sins? And if a person you're talking to doesn't want to admit that just say, Have you ever sinned? And you know, I've never met a person who said he hadn't sin. What they say is I haven't seen as much as somebody else, or I sinned because I had a reason or I'm getting better. But most people will admit that they have sinned. That's the first part of faith to say yes, I was born dead in trespasses and sins. 

The second part is to believe believe that when Jesus went to the cross, it was for me. It wasn't his sin. It was my sin, that when he died on the cross, he paid the debt. He paid off the sin for me. He set me free. Believe that. Can you believe that? Well, that takes people a while some time. Maybe you have to stop there. Because you don’t know how to do this very well. You don't get shook up about it. You say we'll come back to it another time. You might have to spend a lot of time talking about that. Why would God be willing to do that? Why would God punish his own son? All sorts of things like that. But faith is ABC. Admit that you've seen we believe that Jesus did when you have that. Then you cross through its faith in Jesus that gets you through and that's where the c begins, and that is commit. Once you're over, you commit to live in Jesus way. That's what you'll want to do. To say you know, what? I was dead in sin. I believe in Jesus. I'm free. I can live without guilt. It's all taken away. There's an old song. Hallelujah has done, I believe in the sun and I'm saved by the blood of the Crucified One. Okay, so you come through, you believe and then you live for him and more and more and more and more you want to do the things that God wants you to do. 

And then when I ask people I say so where are you? A lot of times, they'll say, Well, I'm over here. You put that in your commit. They'll say I'm over here because I still do things wrong. And I say well, then you're trying to get through this way. You're trying to earn your way across you can't do that. When we're over here. It's true. We still do things that are wrong. But we didn't get here because we were perfect. We got here because Jesus was perfect. And so coming through there, you commit and your faith saves you. 

Now that's an illustration that the Lord showed me in that passage in Ephesians. I have used that dozens and dozens of times. The fellow I mentioned Bob, the military veteran who was dying of cancer. When I showed this to him. I said, Bob, where are you? He said, Well, you know the kind of life I live, I said, Bob, are you trying to get over this way? He said, I know I can't do that. I said then where are you? I said Bob, have you sinned? Oh, he said you should know my life. You know what a military man is? I said, Robert, can you believe that God was willing to punish Jesus for the things you have done. And he lay there on his bed. He said, Yeah, yeah. Yeah. I believe that. I said, then you're on this side. And I don't know how much life the Lord will give you but now's your opportunity to start living for Him. 

This is just one illustration. Maybe you have your own. Like I said, homemade cookies are the best. But I'm comfortable with this. I can add to it. I can subtract it. I can do this in about 30 seconds. And I can do it in 10 minutes. So it's one of the ways and I hope it's been helpful for you. What I'm trying to stress is that you have to know how to get from here to there. That's what changed it for me. In my mind. I know. I can stop talking about this other stuff. And I can say hey, let me show you something. I'll pray for you too. That would work with you. Thanks.

Последнее изменение: пятница, 20 октября 2023, 10:17